-by Joseph Pearce
“As a word, “modernism” has several definitions, or, to put the matter the other way round, there are a number of things to which the label “modernism” has been appended. As such, and as usual, it is important to define our terms before we proceed any further with a discussion of this crucially important word, and crucially perilous thing.
A cursory search for the word on the worldwide web will reveal its definition, on Wikipedia, as “a philosophical movement that, along with cultural trends and changes, arose from wide-scale and far-reaching transformations in Western society in the late-nineteenth and early-twentieth centuries.” Further reading reveals that “modernism,” according to Wikipedia, is primarily a movement in the arts, flourishing in the early twentieth century, which sought to break with the forms and traditions of the past through innovations, such as the stream-of-consciousness in literature, atonality in music, and the abstract in art. It is, or was, self-consciously cynical, viewing reality, as it perceived it, as an absurdity warranting parody.
Although this definition serves to illustrate one particular aspect or manifestation of modernism, it is really only an accidental byproduct of real Modernism. Real or primal Modernism, the mother of all other modernisms, including the artistic movement of the same name, is better understood if we see it in the light of the heresy of modernism as condemned by St. Pius X in his 1907 encyclical Pascendi dominici gregis.
In this encyclical Pius X condemned those who sought to bring the beliefs of the Catholic Church “up to date” in the light (or shadow) of recent developments in philosophy. It is this “up-to-dateness” which is the real spirit of Modernism. It is the presumption that whatever is up-to-date is better than whatever is deemed to be out-of-date. At the root of this presumption is a belief that the present is superior to the past and that, by logical extension, the future will be better than the present. It is what might be called optimistic presumption, or the prejudice of optimism.
As with other forms of prejudice, it tends to look down its supercilious nose at its neighbors, which is why those who are optimists in terms of their belief in inexorable progress, i.e. their belief that things are always getting better, are also and always pessimists about the collective inheritance of human experience and knowledge, which is the history of civilization. To such prejudiced optimists, who prefer to call themselves progressives, the past is populated with barbarians and savages who should be condemned for their perceived ignorance, and treated with the contempt that such unenlightened untermenschen deserve. They are not “up-to-date” and, as such, need not be seen as our equals.
Those who believe that something is good merely because it is “modern” are guilty of what C. S. Lewis called chronological snobbery. They are, in Chesterton’s judgment, ungrateful cads who kick down the ladder by which they’ve climbed. Modernists are, however, not merely cads or snobs; they are idolaters. They worship a false god. The god they worship is the Time-Spirit, or what the Germans call the Zeitgeist, or what might better be called the Spirit of the Age. The absurdity is that they worship a god which is as changeable as the wind or the weather—and as potentially catastrophic and deadly.
A quick glance at some of the past century’s modernists will serve to show the absurdity of worshiping this changeable god.

Take, for example, Ezra Pound, the godfather of twentieth-century modernism, whose injunction to “Make it new!” became the mantra of the modernist movement. He became enamoured of Italian fascism, seeing it as the creed of the future. It might seem silly now to believe that anyone could take Mussolini seriously but there was a time when fascism was de rigueur and very much new and up-to-date. Nor was Ezra Pound alone in his admiration for Italian fascism. The futurist movement which, as its name implied, idolized all that was new, up-to-date and modern, became inextricably connected to Mussolini’s ideology. Fascism was seen as the faith of the future because of its faith in the future. Meanwhile, the Russian futurists put themselves at the service of the exciting new ideas of communism, becoming part of the new Soviet Union’s propaganda machine.
The irony is, of course, that all of this modernist worship of the future seems terribly out-of-date today. The fact is that to be up-to-date today condemns us to being out-of-date tomorrow, or, as C. S. Lewis liked to say, fashions are always coming and going, but mostly going.
**Attached: calculated molecules:**
........
Model w:
Formula: C9H15N2O
Source: the OMol25 dataset
Level of theory: ωB97M-V/def2-TZVPD

Geometry as XYZ:
```
27
Properties=species:S:1:pos:R:3:lowdin_charge:R:1
C 0.492 1.900 -1.339 0.161
C 0.282 0.808 -0.589 -0.149
C 0.849 -0.597 -0.985 -0.232
N 2.167 -0.992 -0.492 0.121
C 2.330 -1.207 0.810 -0.270
O 1.461 -0.996 1.641 0.030
C -0.102 -1.764 -0.776 -0.099
C -1.558 -1.463 -1.087 -0.069
C -2.240 -0.652 -0.347 -0.123
C -1.781 0.244 0.754 -0.074
N -0.300 0.713 0.801 -0.083
C -0.166 1.969 1.544 -0.014
H 0.013 2.827 -1.217 0.075
H 1.121 1.750 -2.129 0.059
H 1.039 -0.403 -2.007 0.134
H 2.874 -1.009 -1.106 0.106
H 3.346 -1.694 0.945 0.174
H -0.123 -1.930 0.284 0.103
H 0.321 -2.681 -1.287 0.158
H -2.211 -1.985 -1.813 0.131
H -3.305 -0.426 -0.499 0.127
H -2.592 0.996 0.640 0.148
H -1.836 -0.390 1.615 0.137
H 0.390 0.038 1.299 0.107
H 0.752 2.004 2.161 0.119
H -0.086 2.915 1.012 0.089
H -1.137 2.024 2.169 0.134
```

The structure (SMILES) is C=C1[C@@H](NC=O)CC=CC[N@@H+]1C. The LUMO energy is -2.74 eV. As for the multiplicity: 1. The value obtained for the HOMO energy is -0.49533 Eh. As for the HOMO-LUMO gap: 10.74 eV. Its net charge is +1.


Model x:
Formula: C9H15N2O
Source: the OMol25 dataset
Level of theory: ωB97M-V/def2-TZVPD

Geometry as XYZ:
```
27
Properties=species:S:1:pos:R:3:lowdin_charge:R:1
C 1.880 -1.624 -0.289 -0.076
C 2.262 -0.537 -1.156 -0.078
C 1.816 -1.478 1.131 -0.060
C 2.424 0.721 -0.584 -0.090
C 1.911 -0.172 1.583 -0.126
C 2.261 0.936 0.791 -0.098
C -1.268 -0.837 -1.014 0.026
C -2.924 -0.411 0.737 0.063
C -1.572 1.605 -0.221 -0.247
N -0.987 0.942 0.894 0.185
N -1.727 0.143 -0.011 -0.207
O -0.809 1.815 -1.371 0.021
H 1.799 -2.610 -0.672 0.093
H 2.161 -0.531 -2.175 0.079
H 1.871 -2.351 1.778 0.114
H 2.760 1.523 -1.297 0.128
H 1.642 0.151 2.594 0.116
H -1.489 -1.938 -0.768 0.145
H -1.644 -0.630 -1.941 0.071
H -0.126 -0.833 -1.178 0.097
H -3.761 -0.672 0.036 0.135
H -2.563 -1.304 1.154 0.089
H -3.226 0.312 1.399 0.073
H -2.454 2.255 -0.042 0.186
H 0.014 0.925 0.849 0.080
H 2.204 1.823 1.323 0.087
H -0.454 2.775 -1.552 0.195
```

The LUMO energy is -2.78 eV. As for the multiplicity: 1. The value obtained for the HOMO energy is -0.46804 Eh. As for the HOMO-LUMO gap: 9.96 eV. Its net charge is +1.


model w takes first place; second place is 1.308 eV up.
........
**Back to the entry:**
To worship the spirit of our own age is to condemn ourselves to looking very silly to future ages. The test, therefore, is not to be in step with our own times but to be in step with all-times, the latter of which is to march in time with that which is always timely because it is perennially timeless.
What is Modernism? It is the worship of the false gods of fashion instead of the true God of tradition. It is the enemy of all who seek the Way, the Truth and the Life. It is the enemy of all who do not want a church that will move with the world but a church that will move the world. It is to choose the Spirit of the Age instead of the Spirit of All Ages. It is to choose the Spirit that Ages instead of the Spirit that Never Ages. It is to choose the Time-Spirit and not the Holy Spirit. Modernism, to put the matter bluntly, is madness.”